Grammarly That Vs Which

Grammarly That Vs Which

If you’re looking for a grammar checker that can be used in many different ways, Grammarly is an excellent option. It’s also incredibly versatile and easy to install on just about anything.

However, Grammarly’s premium plan doesn’t offer all of the features you might need. It’s important to shop around for the best deal for your needs.

What is the difference between that and which?

That and which are two words that many people use every day but confuse the hell out of most writers. Their confusion stems from a set of grammar rules that aren’t as strict in British English or informal writing as they are in formal American English.

The rule that “that” should never be used to introduce a non-defining clause, and “which” can only be used with restrictive clauses, was developed in the mid-1800s.

In formal American English, this distinction between that and which is often seen as a grammar rule, but it has been widely debated. In informal writing, it’s sometimes acceptable to use both that and which with restrictive clauses. However, it is safer to follow the traditional grammar rule when writing formal work.

Materials data from another source follow:
********
Here is crystalline Mn2CuNi9 at its relaxed geometry from Alexandria. Energies are from PBE.

Structure (extended XYZ):
```
12
Lattice="3.555 0.000 0.000 0.000 3.555 0.000 0.000 0.000 10.685" Properties=species:S:1:pos:R:3 pbc="T T T"
Ni 1.777 1.777 7.127
Ni 1.777 0.000 1.772
Ni 1.777 0.000 8.912
Ni 0.000 1.777 5.342
Ni 1.777 1.777 3.558
Ni 0.000 1.777 8.912
Ni 1.777 0.000 5.342
Ni 1.777 1.777 0.000
Ni 0.000 1.777 1.772
Mn 0.000 0.000 3.547
Mn 0.000 0.000 7.138
Cu 0.000 0.000 0.000
```

Values from the calculation:
ΔH_f (0 K)   -0.053 eV per atom
Volume   11.3 Å³ per atom

***

Here is crystalline Zn2SnS at its relaxed geometry from Alexandria. Energies are from PBE.

Structure (extended XYZ):
```
4
Lattice="0.655 -4.479 -1.618 0.108 -3.680 3.091 -3.629 -3.151 0.113" Properties=species:S:1:pos:R:3 pbc="T T T"
Sn -1.433 -5.655 0.793
Zn -0.717 -2.827 0.397
Zn -2.150 -8.482 1.190
S 0.000 0.000 0.000
```

Values from the calculation:
Volume   19.6 Å³ per atom
Formation energy from raw total energies   0.31 eV/atom

***

Here is crystalline MgSb2Br8 at its relaxed geometry from Alexandria. Energies are from PBE.

Structure (extended XYZ):
```
11
Lattice="-1.970 3.890 6.016 1.524 -5.735 5.600 6.959 4.141 0.994" Properties=species:S:1:pos:R:3 pbc="T T T"
Br 0.381 2.667 6.169
Br 2.721 -3.492 6.708
Br 6.430 3.247 3.565
Br 2.794 0.420 4.198
Br 6.131 -0.370 6.442
Br 3.719 1.877 8.413
Br 0.083 -0.950 9.046
Br 3.792 5.789 5.903
Sb 5.963 0.918 9.005
Sb 0.550 1.379 3.606
Mg 0.000 0.000 0.000
```

Values from the calculation:
Offset from the most stable computed form   33.1 meV/atom
Volume   43.7 Å³ per atom
Formation energy from raw total energies   -0.75 eV/atom

***

Here is crystalline LaTb2Mg at its relaxed geometry from Alexandria. Energies are from PBE.

Structure (extended XYZ):
```
4
Lattice="3.722 0.000 0.000 0.000 3.722 0.000 0.000 0.000 8.968" Properties=species:S:1:pos:R:3 pbc="T T T"
Tb 0.000 0.000 1.968
Tb 0.000 0.000 6.999
La 1.861 1.861 4.484
Mg 1.861 1.861 0.000
```

Values from the calculation:
Offset from the most stable computed form   2.7 meV/atom
ΔH_f (0 K)   -0.024 eV per atom
Volume   31.1 Å³ per atom

***

Here is crystalline Pm4PrTm8 at its relaxed geometry from Alexandria. Energies are from PBE.

Structure (extended XYZ):
```
13
Lattice="6.469 0.000 -3.490 -4.176 6.049 0.000 1.108 0.765 9.793" Properties=species:S:1:pos:R:3 pbc="T T T"
Tm 0.866 5.064 4.985
Tm 2.643 1.825 4.899
Tm 3.691 5.063 3.461
Tm 6.043 1.657 3.461
Tm -2.642 5.157 2.841
Tm -0.291 1.750 2.842
Tm 2.535 1.750 1.317
Tm 0.758 4.989 1.404
Pm -2.088 3.024 0.000
Pm 0.000 0.000 0.000
Pm 1.147 3.024 -1.745
Pm 3.234 0.000 -1.745
Pr -1.534 3.407 4.896
```

Values from the calculation:
ΔH_f (0 K)   0.204 eV per atom
Volume   32.1 Å³ per atom

***

Here is crystalline Ac6NiIrPd2 at its relaxed geometry from Alexandria. Energies are from PBE.

Structure (extended XYZ):
```
10
********

Which is more formal?

Many people equate formal writing with longer words and more complex sentences, but this isn’t necessarily the case. The most important thing to remember is that any piece of writing needs to be clear and concise.

Often, that means making use of short words and simple sentence structures to ensure clarity. It also means using a more objective approach, avoiding any emotional language that may confuse readers.

For example, it’s generally not a good idea to use exclamation points in academic writing unless you are quoting from another source.

Similarly, it’s less formal to wear a tie with a pattern than one without. However, if the pattern is printed silk (like on a business tie), it’s not as much of a stretch to say that that’s more formal than something with a geometric pattern.

What comes next are records of crystals, not part of the article:
<<<
(1)
Density functional theory data (SCAN) for a PBEsol-optimized structure of SrAs2Pt.

abc: 4.3320 4.5646 9.4612
angles: 90.00 90.00 90.00
Last column: nearest neighbours and their distance in Å.
Space group Imm2 (No. 44)
One atom of each set of equivalent atoms:
Sr 0.0000 0.0000 0.0000  9 As 3.21-3.51, 4 Pt 3.21-3.28
As 0.0000 0.0000 0.6290  2 Pt 2.40, 2 As 2.60
As 0.0000 0.5000 0.7614  2 As 2.60
Pt 0.0000 0.5000 0.2390  2 As 2.40

Formation energy from the elements, eV/atom: -0.608



(2)
Density functional theory data (SCAN) for a PBEsol-optimized structure of TaAl4Ni.

abc: 7.1140 7.1140 7.1140
angles: 90.00 90.00 90.00
Last column: nearest neighbours and their distance in Å.
Space group F-43m (No. 216)
One atom of each set of equivalent atoms:
Ta 0.0000 0.0000 0.0000  12 Al 2.95, 4 Ni 3.08
Al 0.1251 0.1251 0.6251  6 Al 2.51-2.52
Ni 0.2500 0.2500 0.2500  12 Al 2.95, 4 Ta 3.08

Formation energy from the elements, eV/atom: 0.137



(3)
Density functional theory data (SCAN) for a PBEsol-optimized structure of LiHPt3.

abc: 3.9151 3.9151 3.9151
angles: 90.00 90.00 90.00
Last column: nearest neighbours and their distance in Å.
Space group Pm-3m (No. 221)
One atom of each set of equivalent atoms:
Li 0.0000 0.0000 0.0000  12 Pt 2.77
H 0.5000 0.5000 0.5000  6 Pt 1.96
Pt 0.0000 0.5000 0.5000  2 H 1.96

DFT total energy, eV/atom: -43.523



(4)
Density functional theory data (SCAN) for a PBEsol-optimized structure of ZrFe4Au.

abc: 6.8034 6.8034 6.8034
angles: 90.00 90.00 90.00
Last column: nearest neighbours and their distance in Å.
Space group F-43m (No. 216)
One atom of each set of equivalent atoms:
Zr 0.0000 0.0000 0.0000  12 Fe 2.82, 4 Au 2.95
Fe 0.1247 0.1247 0.6247  6 Fe 2.40-2.41
Au 0.2500 0.2500 0.2500  12 Fe 2.82, 4 Zr 2.95

Formation energy from the elements, eV/atom: -0.231



(5)
Density functional theory data (SCAN) for a PBEsol-optimized structure of LiMgZr2.

abc: 3.0744 3.0744 8.9470
angles: 90.00 90.00 90.00
Last column: nearest neighbours and their distance in Å.
Space group P4mm (No. 99)
One atom of each set of equivalent atoms:
Li 0.0000 0.0000 0.0000  4 Mg 2.97, 4 Li 3.07, 4 Zr 3.18
Mg 0.5000 0.5000 0.2270  4 Li 2.97, 4 Mg 3.07, 4 Zr 3.24
Zr 0.0000 0.0000 0.4951  8 Zr 3.07-3.09, 4 Mg 3.24
Zr 0.5000 0.5000 0.7403  8 Zr 3.07-3.09, 4 Li 3.18

Formation energy from the elements, eV/atom: 0.045



(6)
Density functional theory data (SCAN) for a PBEsol-optimized structure of Ca2OsBr.

abc: 5.2417 5.2417 3.1542
angles: 90.00 90.00 90.00
Last column: nearest neighbours and their distance in Å.
Space group P4/mmm (No. 123)
One atom of each set of equivalent atoms:
Ca 0.0000 0.5000 0.0000  4 Br 3.06, 4 Os 3.06, 2 Ca 3.15
Os 0.0000 0.0000 0.5000  8 Ca 3.06, 2 Os 3.15
Br 0.5000 0.5000 0.5000  8 Ca 3.06, 2 Br 3.15

E above lowest polymorph, meV per atom: 227
ΔE_f (raw), eV/atom: -0.224



(7)
Density functional theory data (SCAN) for a PBEsol-optimized structure of Ta2HgI.

abc: 6.7194 6.7194 6.7194
angles: 90.00 90.00 90.00
>>>

Which is more informal?

-- begin --
Record 1
Entry from Alexandria: a relaxed structure of CsRb2TaBr6 (PBE-GGA).

Unit cell a=8.4799 b=8.4799 c=8.4799 alpha=60.00 beta=60.00 gamma=60.00
Sites, in units of the cell vectors:
Cs 0.0000 0.0000 0.0000
Rb 0.2500 0.2500 0.2500
Rb 0.7500 0.7500 0.7500
Ta 0.5000 0.5000 0.5000
Br 0.2809 0.2809 0.7191
Br 0.2809 0.7191 0.2809
Br 0.2809 0.7191 0.7191
Br 0.7191 0.2809 0.2809
Br 0.7191 0.2809 0.7191
Br 0.7191 0.7191 0.2809

Output
DOS at the Fermi energy in states/eV/atom: 1.38
SG: Fm-3m (225)
Energy relative to the elements, uncorrected in eV/atom: -1.240
E in eV per atom: -3.708

---

Record 2
Entry from Alexandria: a relaxed structure of CeBr2Cl6 (PBE-GGA).

Unit cell a=9.8301 b=9.8301 c=7.5107 alpha=96.18 beta=96.18 gamma=82.88
Sites, in units of the cell vectors:
Ce 0.0830 0.9170 0.7500
Ce 0.9170 0.0830 0.2500
Br 0.3590 0.3592 0.3337
Br 0.3592 0.3590 0.8337
Br 0.6408 0.6410 0.1663
Br 0.6410 0.6408 0.6663
Cl 0.0184 0.1627 0.9559
Cl 0.0928 0.6742 0.6095
Cl 0.1627 0.0184 0.4559
Cl 0.2436 0.4742 0.0836
Cl 0.3258 0.9072 0.8905
Cl 0.4742 0.2436 0.5836
Cl 0.5258 0.7564 0.4164
Cl 0.6742 0.0928 0.1095
Cl 0.7564 0.5258 0.9164
Cl 0.8373 0.9816 0.5441
Cl 0.9072 0.3258 0.3905
Cl 0.9816 0.8373 0.0441

Output
DOS at the Fermi energy in states/eV/atom: 0.33
SG: C2/c (15)
Energy relative to the elements, uncorrected in eV/atom: -1.065
E in eV per atom: -3.327
-- stop --

There are times when you’ll want to use informal language in your writing. This is especially true if you’re communicating with friends or family members.

Informal language is often referred to as conversational English, and it’s considered more casual than formal writing. It can include contractions, slang, figures of speech and other informal phrases.

Formal writing is more serious than informal writing, and it’s usually reserved for business or academic settings. It can also follow a specific style guide, like the Associated Press (AP) or the American Psychological Association (APA).

There are many differences between the two styles of writing. It’s important to understand your audience and your purpose when choosing which is more appropriate.